
Robotic Surgery

Robotic Hysterectomy Surgery

Hysterectomies can be performed abdominally, vaginally, laparoscopically, or robotically. The doctor will evaluate the patient’s history and condition to determine the best method of hysterectomy. Emory Healthcare has surgeons who are well-trained in performing all types of hysterectomy, including robotic hysterectomies.

Many patients wish to pursue a robotic hysterectomy because it is a minimally invasive option, meaning that there will be minimal scarring and recovery is generally much quicker than a traditional open surgery. A robotic hysterectomy is also a good option for women with prior surgical complications or specific conditions that may complicate wound healing, such as diabetes and obesity.

A robotic hysterectomy is performed while the patient is under anesthesia. The surgeon makes a few tiny incisions in the abdomen for a laparoscope (a thin tube with a camera at its end) and the robotic arms. Gas is inserted into the abdomen so that there is space for the surgeon to maneuver.

# Calculated crystals, kept here for reference
____________
No. 1
Li4FeB2O6 | GGA+U | relaxed

Computed properties:
- VASP energy: -168.89 eV for the cell shown
- ΔE_f: -2436 meV per atom
- Polymorph energy (0 for the lowest one): 0.0001 eV per atom

abc: 3.3290 7.9562 9.3497
angles: 89.94 89.72 89.12
Closest atoms and distances in Å follow each position.
Space group P1 (No. 1)
Unique sites:
1 Li 0.0000 0.0000 0.0000  4 O 1.93-2.13
2 Li 0.0013 0.6725 0.6468  4 O 1.90-2.00
3 Li 0.4936 0.1679 0.1461  4 O 1.90-2.00
4 Li 0.4967 0.8405 0.5001  4 O 1.94-2.13
5 Li 0.5014 0.4995 0.3859  4 O 1.93-2.13
6 Li 0.5045 0.1723 0.7391  4 O 1.90-2.00
7 Li 0.9971 0.6676 0.2395  4 O 1.90-2.00
8 Li 0.9985 0.3404 0.8855  4 O 1.93-2.13
9 Fe 0.4998 0.6706 0.9432  4 O 2.12-2.22
10 Fe 0.9991 0.1705 0.4425  4 O 2.10-2.26
11 B 0.0065 0.9341 0.7437  3 O 1.37-1.43
12 B 0.4883 0.9060 0.2433  3 O 1.37-1.43
13 B 0.5101 0.4343 0.6423  3 O 1.37-1.43
14 B 0.9924 0.4064 0.1421  3 O 1.37-1.43
15 O 0.0067 0.4233 0.2898  1 B 1.39
16 O 0.0078 0.0885 0.8075  1 B 1.37
17 O 0.0171 0.7869 0.8312  1 B 1.43
18 O 0.4746 0.0532 0.3303  1 B 1.43
19 O 0.4924 0.7517 0.3075  1 B 1.37
20 O 0.4975 0.4165 0.7900  1 B 1.39
21 O 0.5013 0.9234 0.0956  1 B 1.39
22 O 0.5060 0.5887 0.5782  1 B 1.37
23 O 0.5235 0.2873 0.5549  1 B 1.43
24 O 0.9833 0.5538 0.0550  1 B 1.43
25 O 0.9903 0.2520 0.0781  1 B 1.37
26 O 0.9915 0.9167 0.5961  1 B 1.39

---

No. 2
W3O8 | GGA+U | relaxed

Computed properties:
- VASP energy: -81.66 eV for the cell shown
- ΔE_f: -2001 meV per atom
- Polymorph energy (0 for the lowest one): 0.1388 eV per atom

abc: 5.1677 5.4544 6.9530
angles: 108.37 94.22 104.67
Closest atoms and distances in Å follow each position.
Space group P-1 (No. 2)
Unique sites:
1 W 0.0000 0.0000 0.0000  6 O 2.05-2.14
2 W 0.2592 0.4683 0.8132  3 O 1.73-1.92
3 O 0.0753 0.7704 0.1695  2 W 1.92-2.05
4 O 0.1334 0.7411 0.7729  2 W 1.86-2.05
5 O 0.3316 0.2988 0.5779  1 W 1.73
6 O 0.3765 0.2964 0.0263  3 W 2.00-2.14

---

No. 3
Li3CoSiBO7 | GGA+U | relaxed

Computed properties:
- VASP energy: -333.60 eV for the cell shown
- ΔE_f: -2329 meV per atom
- Polymorph energy (0 for the lowest one): 0.0264 eV per atom

abc: 5.0257 6.2318 16.8182
angles: 90.00 94.37 90.00
Closest atoms and distances in Å follow each position.
Space group Pm (No. 6)
Unique sites:
1 Li 0.0000 0.0000 0.0000  4 O 1.93-2.10
2 Li 0.0088 0.2526 0.3192  4 O 2.02-2.20
3 Li 0.0093 0.2543 0.8218  4 O 2.00-2.23
4 Li 0.5039 0.2441 0.5687  4 O 1.99-2.23
5 Li 0.5036 0.2490 0.0706  4 O 2.01-2.23
6 Li 0.5134 0.5000 0.3918  4 O 1.92-2.10
7 Li 0.5249 0.5000 0.8931  4 O 1.97-2.13
8 Li 0.9876 0.0000 0.4962  4 O 2.02-2.13
9 Co 0.5564 0.0000 0.2867  6 O 1.87-1.98
10 Co 0.5648 0.0000 0.7826  5 O 1.86-2.00
11 Co 0.9479 0.5000 0.6079  5 O 1.85-2.00
12 Co 0.9567 0.5000 0.1066  6 O 1.90-2.13
13 Si 0.0340 0.0000 0.6585  4 O 1.63-1.65
14 Si 0.0362 0.0000 0.1608  4 O 1.62-1.65
15 Si 0.4785 0.5000 0.2324  4 O 1.63-1.66
16 Si 0.4793 0.5000 0.7317  4 O 1.63-1.65
17 B 0.0234 0.5000 0.4649  3 O 1.35-1.43
____________
# The calculated crystals stop here

The surgeon then controls the robot’s movements to remove the uterus and the cervix. The robotic arms mimic the surgeon’s moves. If necessary, the doctor can also perform an oophorectomy, which removes the ovaries, or a salpingectomy, which removes the fallopian tubes, during the robotic hysterectomy. These procedures are often needed if the patient is at risk for ovarian cancer. The incisions are then closed with a small amount of glue or just one or two stitches at each site.

By using a robot to perform a hysterectomy, the surgeon can make more precise movements, some of which are difficult to make with the human hand. The robot’s equipment also provides the doctor with a three-dimensional picture and a much better visualization of the pelvic organs and surrounding structures. With this level of vision and control, the surgeon can perform a procedure that remains as minimally invasive as possible.

Robotic Hysterectomy Recovery

[Records of crystals from another source follow]
<<<
(1)
# LiMg14GaO16 | Materials Project | PBE-GGA | optimized geometry
data_LiMg14GaO16
_chemical_formula_sum 'Li1 Mg14 Ga1 O16'
_space_group_name_H-M_alt 'P 1'
_space_group_IT_number 1
_cell_length_a 8.5009
_cell_length_b 8.4958
_cell_length_c 4.2496
_cell_angle_alpha 90.00
_cell_angle_beta 90.00
_cell_angle_gamma 90.00
loop_
_space_group_symop_operation_xyz
'x,y,z'
loop_
_atom_site_label
_atom_site_fract_x
_atom_site_fract_y
_atom_site_fract_z
Mg1 0.5000 0.0000 0.0000
Mg2 0.0000 0.7592 0.5000
Mg3 0.7484 0.5000 0.5000
Mg4 0.2516 0.5000 0.5000
Mg5 0.5000 0.2476 0.5000
Mg6 0.2446 0.0000 0.5000
Mg7 0.0000 0.2408 0.5000
Mg8 0.5000 0.7524 0.5000
Mg9 0.5000 0.5000 0.0000
Mg10 0.2493 0.2438 0.0000
Mg11 0.7554 0.0000 0.5000
Mg12 0.2493 0.7562 0.0000
Mg13 0.7507 0.7562 0.0000
Mg14 0.7507 0.2438 0.0000
O1 0.0000 0.0000 0.5000
O2 0.5000 0.2539 0.0000
O3 0.7567 0.5000 0.0000
O4 0.2433 0.5000 0.0000
O5 0.2494 0.7480 0.5000
O6 0.7506 0.7480 0.5000
O7 0.2494 0.2520 0.5000
O8 0.7448 0.0000 0.0000
O9 0.7506 0.2520 0.5000
O10 0.5000 0.7461 0.0000
O11 0.0000 0.2690 0.0000
O12 0.2552 0.0000 0.0000
O13 0.0000 0.7310 0.0000
O14 0.5000 0.0000 0.5000
O15 0.0000 0.5000 0.5000
O16 0.5000 0.5000 0.5000
Li1 0.0000 0.0000 0.0000
Ga1 0.0000 0.5000 0.0000
# **Energy above the lowest structure with this stoichiometry**: 0.0 meV per atom
# **Space-group type**: Pmmm
# **Energy of formation**: -2.95 eV per atom
# **Density**: 3.64 g/cm³
# **Total energy**: -5.94 eV/atom

---

(2)
# LiMg6GaO8 | Materials Project | PBE-GGA | optimized geometry
data_LiMg6GaO8
_chemical_formula_sum 'Li1 Mg6 Ga1 O8'
_space_group_name_H-M_alt 'P 1'
_space_group_IT_number 1
_cell_length_a 8.4730
_cell_length_b 4.2458
_cell_length_c 4.2458
_cell_angle_alpha 90.00
_cell_angle_beta 90.00
_cell_angle_gamma 90.00
loop_
_space_group_symop_operation_xyz
'x,y,z'
loop_
_atom_site_label
_atom_site_fract_x
_atom_site_fract_y
_atom_site_fract_z
O1 0.0000 0.5000 0.0000
O2 0.0000 0.0000 0.5000
O3 0.7269 0.0000 0.0000
O4 0.5000 0.0000 0.5000
O5 0.5000 0.5000 0.0000
O6 0.7465 0.5000 0.5000
O7 0.2731 0.0000 0.0000
O8 0.2535 0.5000 0.5000
Mg1 0.0000 0.5000 0.5000
Mg2 0.7614 0.0000 0.5000
Mg3 0.7614 0.5000 0.0000
Mg4 0.5000 0.5000 0.5000
Mg5 0.2386 0.0000 0.5000
Mg6 0.2386 0.5000 0.0000
Ga1 0.5000 0.0000 0.0000
Li1 0.0000 0.0000 0.0000
# **Energy above the lowest structure with this stoichiometry**: 0.0 meV per atom
# **Space-group type**: P4/mmm
# **Energy of formation**: -2.84 eV per atom
# **Density**: 3.81 g/cm³
# **Total energy**: -5.87 eV/atom

---

(3)
# LiMg6GaO8 | Materials Project | PBE-GGA | optimized geometry
data_LiMg6GaO8
_chemical_formula_sum 'Li1 Mg6 Ga1 O8'
_space_group_name_H-M_alt 'P 1'
_space_group_IT_number 1
_cell_length_a 8.5145
_cell_length_b 4.2100
_cell_length_c 4.2100
_cell_angle_alpha 90.00
_cell_angle_beta 90.00
_cell_angle_gamma 90.00
loop_
_space_group_symop_operation_xyz
'x,y,z'
loop_
_atom_site_label
_atom_site_fract_x
_atom_site_fract_y
_atom_site_fract_z
Mg1 0.2458 0.5000 0.0000
>>>
[Here the entry continues]

A robotic hysterectomy has many benefits for patients. Robotic hysterectomy recovery can be more comfortable than traditional abdominal surgery and usually includes a much shorter hospital stay. Patients typically experience less pain, less bleeding, and have fewer complications; they also have a much smaller scar from the surgery.

The patient will experience soreness and possibly bruising immediately after the surgery, but most patients are usually able to return to their regular activities much more quickly than those who have a more traditional hysterectomy. More specific risks and expectations for recovery will be discussed by the doctor before and after the surgery.

____________
Record 1
## Na6Ca3HfSi2S4O24 (GGA-PBE)

Data for a geometry-optimized Na6Ca3HfSi2S4O24 structure.

Calculated values
Size of the total moment ... 0.00 μB/cell
E_form ... -2.623 eV/atom
Space-group type ... No. 1
V ... 1782 Å³ per cell

Structure (POSCAR):
```
Na6Ca3HfSi2S4O24
1.0
9.363 0.003 0.012
-4.679 8.134 -0.013
0.031 -0.021 23.398
Na Ca Hf Si S O
18 9 3 6 12 72
Cartesian
1.269 8.100 6.108
1.748 2.955 5.619
2.972 5.295 17.285
1.398 2.862 13.793
-3.092 5.678 13.629
1.854 7.626 13.667
-1.774 7.931 1.689
-1.049 2.744 1.699
6.170 5.495 21.435
6.497 0.299 21.106
1.512 2.292 21.500
3.263 5.634 9.890
4.490 8.061 11.608
0.147 0.153 23.272
4.927 2.416 19.308
4.856 2.555 7.901
0.132 5.266 3.745
0.234 5.515 15.704
0.008 0.028 8.224
9.343 0.064 19.813
4.559 8.063 15.338
-4.641 8.111 3.410
4.727 2.615 16.075
4.644 2.795 4.259
0.060 5.387 0.372
0.083 5.461 11.979
-0.041 5.545 7.580
4.648 2.642 22.946
4.707 2.672 11.278
-0.103 5.486 19.174
1.767 8.024 17.622
3.322 5.088 13.656
1.881 2.716 1.998
-1.411 3.005 21.533
-1.362 7.840 21.563
1.462 7.964 9.756
-1.835 8.119 5.804
3.264 5.682 5.899
-1.379 2.426 5.813
1.413 2.547 17.585
-3.188 5.671 17.579
7.421 2.719 13.594
3.312 0.340 13.593
6.061 5.092 1.882
6.041 0.375 1.941
2.822 5.333 21.425
1.518 2.953 9.782
-2.875 5.343 9.827
1.959 0.127 6.985
3.755 6.324 7.137
8.296 1.572 6.993
1.143 1.715 18.767
5.623 6.352 18.776
2.682 8.109 18.958
2.634 7.705 16.242
0.899 1.930 16.331
-3.387 6.468 16.340
3.578 6.509 4.714
-0.848 1.795 4.568
-2.627 8.017 4.555
6.632 2.874 14.814
3.921 0.904 14.798
3.637 4.243 14.997
5.792 4.285 3.082
5.539 1.000 3.175
2.699 2.758 3.394
3.002 2.654 0.694
5.549 4.373 0.658
5.683 1.262 0.745
3.709 1.185 12.402
3.920 4.188 12.345
6.491 2.548 12.412
2.016 5.606 22.613
-0.743 3.571 22.881
-1.116 7.044 22.930
1.157 7.027 11.056
0.932 3.572 10.985
-2.087 5.484 11.062
-2.036 5.124 8.643
0.831 7.398 8.350
1.297 3.793 8.578
-1.044 4.055 20.273
-0.624 7.018 20.289
1.950 5.101 20.229
5.584 6.510 9.698
3.103 8.021 9.708
1.024 1.582 9.648
8.520 1.489 21.351
-2.959 8.034 21.327
3.783 6.443 21.245
8.295 1.511 13.628
1.823 0.348 13.645
4.081 6.565 13.559
5.415 6.429 1.927
7.522 0.296 1.932
1.023 1.291 1.829
5.478 1.178 17.539
2.873 2.807 17.520
5.525 4.349 17.488
3.838 4.308 5.832
6.495 2.531 5.773
3.728 1.216 5.799
3.635 4.058 21.597
6.265 2.970 21.650
4.083 1.220 21.636
5.446 1.349 10.002
3.046 2.911 9.938
5.578 4.115 9.951
0.864 3.989 1.963
-1.827 5.268 1.808
0.720 7.192 1.804
-0.874 7.080 13.427
1.674 5.240 13.575
-1.118 3.940 13.404
-0.941 6.925 5.886
1.752 5.539 5.942
-0.713 3.759 5.937
0.740 3.902 17.731
-1.689 5.498 17.738
0.898 6.556 17.798
```



Record 2
## Na10Ca4Hf4Si5S7O48 (GGA-PBE)

Data for a geometry-optimized Na10Ca4Hf4Si5S7O48 structure.

Calculated values
Size of the total moment ... 0.00 μB/cell
E_form ... -2.707 eV/atom
Space-group type ... No. 1
V ... 3426 Å³ per cell

Structure (POSCAR):
```
Na10Ca4Hf4Si5S7O48
1.0
-17.278 -2.321 6.082
7.194 -1.205 5.760
-0.798 22.371 5.752
____________

Other Robotic Gynecologic Surgery

Several other gynecologic surgeries can be performed robotically, including myomectomy (surgery to remove fibroids) and sacrocolpopexy (surgery to repair pelvic prolapse). As with any surgical procedure, our doctors will be happy to explain the method chosen and how it benefits the patient’s particular situation.